Below is a relaxed structure of Hf2CN, with properties calculated at the PBE level.

Cell lengths 3.2530, 3.2530, 15.9299 Å; angles 90.00, 90.00, 120.00 degrees
Space group R-3m (No. 166, hexagonal axes)
Inequivalent atoms, fractional coordinates:
Hf 0.0000 0.0000 0.2488
C 0.0000 0.0000 0.5000
N 0.0000 0.0000 0.0000



Below is a relaxed structure of Hf4C3N, with properties calculated at the PBE level.

Cell lengths 3.2732, 3.2732, 32.0118 Å; angles 90.00, 90.00, 120.00 degrees
Space group R-3m (No. 166, hexagonal axes)
Inequivalent atoms, fractional coordinates:
Hf 0.0000 0.0000 0.1237
Hf 0.0000 0.0000 0.3745
C 0.0000 0.0000 0.0000
C 0.0000 0.0000 0.2484
N 0.0000 0.0000 0.5000



Below is a relaxed structure of HfNb4CN4, with properties calculated at the PBE level.

Results
spin magnetization: 0.0 μB/f.u.

Cell lengths 3.175, 3.175, 22.314 Å; angles 90.00, 90.00, 90.00 degrees
Space group I4/mmm (No. 139)
Inequivalent atoms, fractional coordinates:
Hf 0.000 0.000 0.000
Nb 0.000 0.000 0.200
Nb 0.000 0.000 0.401
C 0.000 0.000 0.500
N 0.000 0.000 0.100
N 0.000 0.000 0.300



Below is a relaxed structure of HfNbCN, with properties calculated at the PBE level.

Results
spin magnetization: 0.0 μB/f.u.

Cell lengths 3.2022, 3.2022, 15.7824 Å; angles 90.00, 90.00, 120.00 degrees
Space group R3m (No. 160, hexagonal axes)
Inequivalent atoms, fractional coordinates:
Hf 0.0000 0.0000 0.0000
Nb 0.0000 0.0000 0.4952
C 0.0000 0.0000 0.7488
N 0.0000 0.0000 0.2490



Number 1: final energy -10.78 eV per atom, formation energy from the elements -1.502 eV per atom. Number 2: final energy -10.67 eV per atom, formation energy from the elements -1.236 eV per atom. Number 3: final energy -10.20 eV per atom, formation energy from the elements -1.055 eV per atom. Number 4: final energy -10.48 eV per atom, formation energy from the elements -1.160 eV per atom.


Compound: HgH12C12S2N2O4
Source: the Materials Project
Functional: PBE-GGA
Structure: optimized geometry

Cell lengths 15.8422, 15.8422, 28.1276 Å; angles 90.00, 90.00, 90.00 degrees
Closest atoms and distances in Å follow each position.
Space group I4_1/acd (No. 142, origin choice 2)
Unique sites:
Hg 0.0000 0.0000 0.0000 [16 per cell]  2 S 2.45
H 0.0122 0.0862 0.3762 [32 per cell]  1 C 1.10
H 0.0234 0.1209 0.1878 [32 per cell]  1 C 1.09
H 0.0399 0.1104 0.3164 [32 per cell]  1 C 1.10
H 0.0674 0.1240 0.8360 [32 per cell]  1 C 1.09
H 0.0762 0.0591 0.1434 [32 per cell]  1 C 1.10
H 0.0888 0.0333 0.2045 [32 per cell]  1 C 1.10
C 0.0105 0.0855 0.8393 [32 per cell]  3 H 1.09-1.10
C 0.0440 0.0574 0.1780 [32 per cell]  3 H 1.09-1.10
C 0.1069 0.0270 0.6836 [32 per cell]  1 N 1.32, 1 C 1.43
C 0.1464 0.1033 0.5518 [32 per cell]  2 C 1.43-1.46
C 0.1842 0.0193 0.5523 [32 per cell]  1 O 1.24
C 0.1909 0.0177 0.8173 [32 per cell]  1 O 1.22
S 0.0469 0.1325 0.5361 [32 per cell]  1 C 1.70
N 0.0290 0.0014 0.6751 [32 per cell]  3 C 1.32-1.46
O 0.1557 0.0516 0.9573 [32 per cell]  1 C 1.24
O 0.1598 0.0363 0.4245 [32 per cell]  1 C 1.22

Output
The formation energy is -0.29 eV/atom. The crystal system is tetragonal. The value obtained for the magnetization is 0.0 μB per formula unit.

Compound: Hg3Sb3H6C2Se8N
Source: the Materials Project
Functional: PBE-GGA
Structure: optimized geometry

Cell lengths 11.9604, 16.2511, 11.2995 Å; angles 90.00, 90.00, 90.00 degrees
Closest atoms and distances in Å follow each position.
Space group Aem2 (No. 39)
Unique sites:
Hg 0.0000 0.0000 0.0000 [4 per cell]  4 Se 2.72-2.73
Hg 0.1772 0.1241 0.2544 [8 per cell]  4 Se 2.68-2.74
Sb 0.0163 0.2500 0.5140 [4 per cell]  3 Se 2.62
Sb 0.3364 0.0136 0.9802 [8 per cell]  3 Se 2.58-2.65
H 0.2392 0.2500 0.7542 [4 per cell]  1 C 1.09
H 0.3620 0.1961 0.8058 [8 per cell]  1 C 1.12
H 0.4717 0.1960 0.1852 [8 per cell]  1 C 1.12
H 0.4751 0.2500 0.0450 [4 per cell]  1 C 1.09
C 0.3307 0.2500 0.7543 [4 per cell]  3 H 1.09-1.12
C 0.4936 0.2500 0.6361 [4 per cell]  3 H 1.09-1.12
Se 0.0290 0.1340 0.8595 [8 per cell]  1 Sb 2.62, 2 Hg 2.72-2.74

Next, transcribe every line earlier on that contains the word "HfNbCN".

Below is a relaxed structure of HfNbCN, with properties calculated at the PBE level.